KTFA – Some “Friday News” Posted by KTFA Members 4-5-2024


Clare:  Iraq will become an “alternative” to the Suez Canal


 Reports published by Reuters International and Splash News Agency, today, Thursday, described the large Al-Faw port project, which was expected to be completed next year, as “an alternative to the Suez Canal,” stressing that “Iraq will become, during the next few years, a “center” for international trade between the East and the Middle East.” And the West.” 

Reuters said, according to a report translated by NRT Arabic, that the Gulf countries are fully aware of the economic development taking place in Iraq, which is expected to increase soon with the completion of the Al-Faw port project and “huge” business projects, including Gulf investments in the country through the establishment of residential complexes and tourist hotels, indicating, “The Gulf has begun… “He is testing the waters by transferring his international investments to Iraq.” 

She continued, “According to Gulf expectations, Baghdad will become one of the most important Arab capitals for the next twenty-five years,” explaining what Splash Agency reported about the expected development of the Iraqi economy through the end of the Al-Faw port, which she said would turn Iraq into an “alternative” to the Suez Canal and an international trade corridor connecting Between East and West. 

The agency also confirmed that the new port will be able to receive goods and goods and transport them through Iraq to Turkey and then Europe in a “huge and unprecedented” manner by receiving cargo ships and giant oil tankers, which will “contribute” to transforming Iraq into an oil export center in addition to its new location as an alternative. About the Suez Canal, according to its description. 

The agency also noted that the Al-Faw port project, which has been stalled since 2010, is expected to end next year with the Iraqi authorities insisting on ending it after concluding an agreement with Turkey to establish railways and roads worth $17 billion, ensuring that the two countries will transform into a commercial transport point. Goods and commodities between the continents of Europe and Asia. 

It is noteworthy that the agency also indicated that the limited transportation of ships through the Suez Canal, which allows the passage of a small number of tankers and giant trucks, will help transform the large Al-Faw port and its transportation route into a “suitable alternative” that allows the movement of very large quantities of goods and commodities without long waiting periods, according to the agency. Describe it.   LINK


Clare:  After the Eid…a parliamentary movement was revealed to host the Sudanese in Parliament

 4/5/2024  Baghdad 

Member of the Parliamentary Finance Committee, Moeen Al-Kadhimi, held the government responsible for delaying the release of budget allocations, noting that many projects have been halted due to the failure to release financial allocations.

Al-Kadhimi said in an interview followed by Mawazine News, that “the Prime Minister’s advisors are putting the final touches on the budget, and it is expected to be sent to Parliament for a vote after the Eid,” indicating that “there are increases in salary requirements that reached 8.5 trillion dinars per month, which led to an increase in salary requirements.” The size of the budget reaches 228 trillion dinars.”

He added, “The projects of the Ministries of Health and Education were halted due to the delay in approving the budget, despite the presence of advances approved by the Ministry of Planning.”

Al-Kadhimi called on the government to “send the budget schedules to Parliament as soon as possible for approval,” noting that “the disbursement of financial allocations should not be affected by delays in the schedules, given that the budget is three-year.”
He revealed, “A parliamentary move to host the Prime Minister, the Ministry of Finance, and the relevant authorities in Parliament to discuss the reasons for the delay, if the budget is not sent after the Eid al-Fitr holiday.”   LINK


Clare:  Advisor to the Association of Private Banks: Al-Sudani will discuss the sanctions file on 28 banks in Washington

4/5/2024  Baghdad

Advisor to the Association of Private Banks, Samir Al-Nusairi, announced that the US sanctions on 28 banks constitute one of the important files on the agenda of Prime Minister Muhammad Shiaa Al-Sudani during his visit to Washington.

Al-Nusairi said in an interview followed by Al-Eqtisad News, “During his visit to Washington, during which he will be accompanied by a delegation from the Central Bank and the banking sector, Al-Sudani will discuss the sanctions and restrictions imposed by the United States on the 28 banks, which deprived them of dealing in the US dollar.”

He believed that these sanctions and restrictions constitute “one of the important files that the Prime Minister carries with him to Washington,” indicating that the file “falls within the financial and banking reform stipulated in the Prime Minister’s government program.”  LINK

Don961:  Zimbabwe launches new gold-backed currency

 Harare – Zimbabwe’s central bank launched a new “structured currency” backed by gold on Friday, as it seeks to tackle sky-high inflation and stabilise the country’s long-floundering economy.

The ZiG — short for Zimbabwe Gold — will replace the Zimbabwean dollar which has tumbled in value over the past year, pushing inflation through the roof, Reserve Bank governor John Mushayavanhu said. 

“With effect from today… banks shall convert the current Zimbabwe dollar balances into the new currency,” he said, presenting a monetary policy statement.

He also announced a drastic cut in the bank’s main interest rate, from 130 percent to 20 percent. 

The ZiG will be “fully anchored and fully backed” by a basket of reserves comprising foreign currency and precious metals — mainly gold, Mushayavanhu added. 

The move is aimed at fostering “simplicity, certainty, (and) predictability” in Zimbabwe’s financial affairs, he said, presenting the new banknotes that come in eight denominations ranging from 1 to 200 ZiG.

The Zimbabwean dollar has lost almost 100 percent of its value against the US greenback over the past year.

On Friday, it was officially trading at around 30,000 against its more coveted US counterpart — and at 40,000 on the black market, according to tracker Zim Price Check.

Its poor performance contributed to the southern African country’s high inflation rate, which after climbing well into the triple digits last year, was at 55 percent in March, according to official data. 

This has piled pressure on its 16 million people who are already contending with widespread poverty, high unemployment and a severe drought induced by the El Nino weather pattern.

– More gold needed? –

Zimbabweans have 21 days to convert their old cash into new money, Mushayavanhu said.

The new banknotes feature a drawing of gold ingots being minted, as well as Zimbabwe’s famous Balancing Rocks, which already appeared on the old ones. 

Zimbabwe boasts vast gold deposits, with the precious metal accounting for almost 25 percent of all exports in January, according to official data.

But analysts have questioned whether Harare has enough reserves to adequately back the currency, and if the latter could suffer from volatility in gold prices. 

On Thursday, President Emmerson Mnangagwa inspected the central bank’s vaults that Mushayavanhu — who was appointed earlier this year — said hold 1.1 tonnes of solid gold. 

The bank also has almost 1.5 tonnes more abroad, as well as $100 million in cash and precious minerals such as diamonds that if converted into gold would account for another 0.4 tonnes, he added.

All together the reserves’ value totals $285 million, which Mushayavanhu said was “more than three times cover for the ZiG currency being issued”.

But some were sceptical. 

“We obviously need more,” said economist Prosper Chitambara, adding that other countries such as neighbouring South Africa had much larger reserves. 

“The more the reserves, obviously, the more the confidence and the more your capacity to be able to defend your currency against any shocks.” 

The central bank said it would adopt a tight monetary policy, linking money supply growth to growth in gold and foreign exchange reserves. 

– Trillion-dollar inflation –

Soaring prices have brought back memories of 2008, when hyperinflation was so out of control that the central bank even issued a 100-trillion-dollar note — now a collectors’ item. 

The government was eventually forced to ditch the local currency and adopt the US dollar as legal tender. 

The Zimbabwean dollar was revived in 2019, but it has suffered from much the same issues as its previous incarnation. 

Most Zimbabweans prefer to do business, get paid and hold their savings in US dollars. 

Many who earn a salary in local money rush to currency exchange shops on pay day.

The government has previously resorted to various expedients to stabilise the economy, including issuing gold coins and launching a gold-backed digital currency but they have yielded little results.    LINK


2024-04-02 01:53

Shafaq News/ The Central Bank of Iraq (CBI) clarified on Monday the legal rationale behind depositing oil revenues in the US Federal Reserve.

Documents released by the bank and seen by Shafaq News agency state that “the legal basis for depositing oil revenues in the Federal Reserve Bank in New York under the IRAQ2 account instead of the Development Fund for Iraq (DFI) is linked to the expiration of Executive Order 13303 issued by the US President in March 2003.

 This order granted immunity to Iraqi funds deposited in the DFI account at that time. Furthermore, the protection of Iraqi funds provided by UN Security Council Resolution 1483 of 2003 ended with the issuance of UN Resolution 1956 at the close of 2010.”

The documents elaborate, “Hence, the IRAQ2 account was established to receive proceeds from Iraqi crude oil exports, subsequently transferred to the Central Bank of Iraq’s account at the Federal Reserve Bank within 24 hours to safeguard them from creditors’ claims. These funds are categorized as belonging to the Iraqi government, derived from crude oil exports. This arrangement was formalized through a Memorandum of Understanding signed between the Iraqi Ministry of Finance and the Central Bank of Iraq on 2/6/2014, which serves as the legal framework for the IRAQ2 account as an alternative to the Development Fund for Iraq account.”

The documents clarify, “Immunity granted by these documents is applicable solely to sovereign funds and does not extend to funds utilized for commercial purposes.”

Calculated powder diffraction line list of Na2CdH4S2O10 for Cu Kα (weighted mean of Kα1 and Kα2), from DFT lattice parameters and positions (GGA-PBE).
Intensities are scaled so that the largest is 1000.

Most intense lines, 10° ≤ 2θ ≤ 90°, by angle:
| 2theta | Rel. int. |
| --- | --- |
| 13.42 | 1000 |
| 20.57 | 572 |
| 26.03 | 821 |
| 26.47 | 755 |
| 27.90 | 565 |
| 29.00 | 372 |
| 31.72 | 558 |
| 32.12 | 442 |

Structure:
abc: 5.954 13.195 5.687
angles: 90.00 106.46 90.00
Space group P2_1/c (No. 14)
Asymmetric unit:
Na  0.093  0.116  0.276
Cd  0.500  0.000  0.000
H  0.174  0.162  0.830
H  0.407  0.211  0.008
S  0.259  0.618  0.919
O  0.064  0.692  0.896
O  0.215  0.560  0.682
O  0.251  0.544  0.118
O  0.304  0.150  0.984
O  0.489  0.669  0.977

=====

Entry 1:
Simulated powder diffractogram of DyY2Er2Tm2Ni2Te2 for Cu Ka, from a crystal structure in OQMD, relaxed with PBE.
Lines closer than 0.1° are merged.

Peak list (10 most intense, 5° ≤ 2θ ≤ 70°, most intense first)
2theta  I (rel.)
34.1  100
34.6  91
33.2  79
30.5  48
47.3  34
59.0  30
30.3  26
25.0  23
36.8  20
38.6  20

Structural model:
a b c (Å): 18.209 3.846 9.498
angles (deg): 90.00 121.42 90.00
Space group Cm (No. 8)
Inequivalent atoms, fractional coordinates:
Dy (0.000, 0.000, 0.000)
Y (0.147, 0.500, 0.914)
Y (0.353, 0.000, 0.620)
Er (0.185, 0.500, 0.305)
Er (0.315, 0.000, 0.935)
Tm (0.133, 0.000, 0.549)
Tm (0.366, 0.500, 0.283)
Ni (0.240, 0.000, 0.170)
Ni (0.260, 0.500, 0.689)
Te (0.000, 0.000, 0.661)
Te (0.000, 0.500, 0.266)

---

Entry 2:
Simulated powder diffractogram of Dy2YEr2Tm2Ni2Te2 for Cu Ka, from a crystal structure in OQMD, relaxed with PBE.
Lines closer than 0.1° are merged.

Peak list (10 most intense, 5° ≤ 2θ ≤ 70°, most intense first)
2theta  I (rel.)
34.2  100
33.1  81
34.7  81
30.5  43
59.1  39
47.5  29
25.1  25
38.6  22
29.0  20
36.8  20

Structural model:
a b c (Å): 3.830 15.528 9.515
angles (deg): 90.00 90.00 90.00
Space group Imm2 (No. 44)
Inequivalent atoms, fractional coordinates:
Dy (0.000, 0.132, 0.000)
Y (0.000, 0.000, 0.582)
Er (0.000, 0.315, 0.201)
Tm (0.000, 0.353, 0.851)
Ni (0.000, 0.238, 0.510)
Te (0.000, 0.000, 0.247)
Te (0.000, 0.500, 0.346)

---

Entry 3:
Simulated powder diffractogram of Dy2YEr2Tm2Ni2Te2 for Cu Ka, from a crystal structure in OQMD, relaxed with PBE.
Lines closer than 0.1° are merged.

Peak list (10 most intense, 5° ≤ 2θ ≤ 70°, most intense first)
2theta  I (rel.)
34.2  100
34.7  85
33.1  83
30.5  43
59.0  32
47.4  30
25.0  26
38.6  22
36.8  19
30.3  19

Structural model:
a b c (Å): 3.838 15.534 9.507
angles (deg): 90.00 90.00 90.00
Space group Imm2 (No. 44)
Inequivalent atoms, fractional coordinates:
Dy (0.000, 0.147, 0.000)
Y (0.000, 0.500, 0.732)
Er (0.000, 0.367, 0.149)
Tm (0.000, 0.185, 0.351)
Ni (0.000, 0.261, 0.660)
Te (0.000, 0.000, 0.496)
Te (0.000, 0.500, 0.394)

---

Entry 4:
Simulated powder diffractogram of Dy2YEr2Tm2Ni2Te2 for Cu Ka, from a crystal structure in OQMD, relaxed with PBE.

Addressing the third paragraph, the documents detail that “foreign reserves may be deposited with various external entities, central banks, and financial institutions, not limited to the Federal Reserve Bank. Interest rates vary based on investment category, duration, and the institution. Additionally, Orient, the contracted shipping company, transports dollar shipments from the Federal Reserve Bank to Baghdad International Airport, with insurance at $414,000 per shipment and transportation fees of $216,310 provided by the Legislative Affairs Department, Parliamentary Oversight Division.”

Furthermore, they state, “Domestic transfer of oil sales revenues is impractical due to operational constraints, risking Iraq’s financial operations if funds remain within the country.

Closing the Federal Reserve Bank account could expose Iraq to international claims and hinder settlements in US dollars without an account at the Federal Reserve Bank or another American commercial bank.”  LINK